(Wanted)
Echo the rows below from the line with "-0.057" to the end word for word.
(Material)
DFT (wB97M-V/def2-TZVPD) results for a cluster of 4 separate species, C48H73F13IN3O3S in total.

**SMILES**: CCCCCCCCc1cccc2c1C(=O)c1c(CCC(F)(F)C(F)(F)C(F)(F)C(F)(F)S(F)(F)(F)(F)F)cc(CC(=O)I)cc1C2=O.CCN(CC)CC.CCN(CC)CC.CCN(CC)CC
**HOMO level**: -7.97 eV
**Lowest unoccupied orbital energy**: -0.9 eV
**Energy**: -115834.6665 eV
**Gap between HOMO and LUMO**: 7.05 eV

Last column: Löwdin charge in e.
Atoms and positions in Å:
C1 1.49 5.92 -0.31  -0.118
C2 2.30 6.39 0.90  -0.247
C3 3.81 6.09 0.81  -0.212
C4 4.30 5.22 1.97  -0.199
C5 3.65 3.83 1.98  -0.197
C6 4.60 2.63 2.17  -0.173
C7 4.00 1.61 3.13  -0.188
C8 4.63 0.21 3.10  -0.129
C9 4.75 -0.35 1.72  -0.156
C10 6.01 -0.56 1.15  -0.013
C11 6.16 -1.05 -0.15  -0.042
C12 5.05 -1.33 -0.93  0.005
C13 3.78 -1.09 -0.39  -0.078
C14 3.62 -0.63 0.92  -0.029
C15 2.23 -0.44 1.40  -0.277
O1 1.89 -0.72 2.52  0.127
C16 1.29 0.09 0.38  -0.013
C17 0.26 0.99 0.67  -0.112
C18 -0.03 1.51 2.05  -0.102
C19 0.05 3.04 2.12  -0.038
C20 -0.74 3.73 3.23  -0.399
F1 -1.73 2.95 3.73  0.120
F2 -1.35 4.82 2.68  0.111
C21 0.05 4.36 4.43  -0.337
F3 1.14 4.93 3.85  0.121
F4 -0.68 5.32 5.00  0.161
C22 0.63 3.49 5.60  -0.333
F5 1.44 4.32 6.28  0.157
F6 1.41 2.53 5.07  0.133
C23 -0.41 2.95 6.70  -0.402
F7 -1.61 3.45 6.43  0.140
F8 -0.01 3.43 7.88  0.133
S1 -0.55 1.04 6.94  0.746
F9 -2.12 1.07 6.76  -0.123
F10 -0.73 1.20 8.50  -0.118
F11 1.02 1.00 7.12  -0.114
F12 -0.39 0.85 5.39  -0.131
F13 -0.59 -0.52 7.10  -0.104
C24 -0.57 1.41 -0.39  0.041
C25 -0.40 0.95 -1.69  -0.185
C26 -1.30 1.45 -2.79  -0.160
C27 -0.53 2.36 -3.70  -0.826
O2 0.36 2.03 -4.39  0.036
I1 -1.13 4.43 -3.63  0.785
C28 0.62 0.03 -1.96  0.061
C29 1.46 -0.37 -0.94  -0.057
C30 2.58 -1.31 -1.22  -0.300
O3 2.52 -2.14 -2.09  0.140
H1 0.43 5.95 -0.10  0.062
H2 1.69 6.55 -1.17  0.071
H3 1.76 4.90 -0.58  0.059
H4 1.89 5.94 1.80  0.079
H5 2.17 7.47 0.97  0.103
H6 4.38 7.01 0.77  0.103
H7 4.00 5.54 -0.12  0.108
H8 4.04 5.74 2.89  0.111
H9 5.38 5.13 1.93  0.102
H10 3.08 3.69 1.06  0.104
H11 2.93 3.80 2.80  0.074
H12 5.55 3.00 2.56  0.111
H13 4.78 2.16 1.21  0.109
H14 4.06 2.01 4.14  0.120
H15 2.94 1.52 2.88  0.085
H16 5.62 0.25 3.55  0.115
H17 4.02 -0.44 3.72  0.115
H18 6.88 -0.33 1.74  0.114
H19 7.16 -1.20 -0.54  0.106
H20 5.16 -1.70 -1.93  0.120
H21 0.66 1.07 2.75  0.084
H22 -1.02 1.16 2.33  0.130
H23 -0.36 3.46 1.20  0.118
H24 1.09 3.34 2.14  0.094
H25 -1.37 2.10 -0.19  0.129
H26 -2.16 1.96 -2.38  0.086
H27 -1.63 0.61 -3.40  0.137
H28 0.78 -0.36 -2.96  0.134
C31 -1.74 -2.01 4.30  -0.087
C32 -2.82 -3.06 4.50  -0.266
N1 -2.58 -4.25 3.71  -0.197
C33 -3.73 -5.14 3.62  -0.262
C34 -4.24 -5.82 4.89  -0.076
C35 -1.29 -4.89 3.92  -0.244
C36 -0.92 -5.34 5.34  -0.079
H29 -1.61 -1.81 3.23  0.083
H30 -2.02 -1.08 4.79  0.052
H31 -0.77 -2.32 4.70  0.069
H32 -3.78 -2.65 4.18  0.119
H33 -2.92 -3.27 5.58  0.105
H34 -3.50 -5.90 2.87  0.110
H35 -4.54 -4.55 3.19  0.090
H36 -3.58 -6.62 5.23  0.057
H37 -5.22 -6.26 4.70  0.068
H38 -4.36 -5.11 5.71  0.068
H39 -0.52 -4.20 3.57  0.100
H40 -1.24 -5.75 3.24  0.114
H41 -1.13 -4.55 6.07  0.065
H42 0.14 -5.55 5.39  0.071
H43 -1.46 -6.24 5.65  0.055
C37 1.44 1.68 -11.79  -0.093
C38 1.87 1.37 -10.37  -0.279
N2 2.06 2.55 -9.56  -0.204
C39 2.76 2.30 -8.31  -0.248
C40 2.08 1.40 -7.27  -0.084
C41 0.91 3.44 -9.48  -0.246
C42 -0.41 2.87 -8.95  -0.078
H44 2.13 2.40 -12.25  0.079
H45 1.44 0.77 -12.39  0.071
H46 0.43 2.10 -11.84  0.063
H47 2.84 0.85 -10.40  0.117
H48 1.16 0.65 -9.93  0.102
H49 2.98 3.27 -7.85  0.111
H50 3.73 1.87 -8.57  0.108
(Written answer)
C29 1.46 -0.37 -0.94  -0.057
C30 2.58 -1.31 -1.22  -0.300
O3 2.52 -2.14 -2.09  0.140
H1 0.43 5.95 -0.10  0.062
H2 1.69 6.55 -1.17  0.071
H3 1.76 4.90 -0.58  0.059
H4 1.89 5.94 1.80  0.079
H5 2.17 7.47 0.97  0.103
H6 4.38 7.01 0.77  0.103
H7 4.00 5.54 -0.12  0.108
H8 4.04 5.74 2.89  0.111
H9 5.38 5.13 1.93  0.102
H10 3.08 3.69 1.06  0.104
H11 2.93 3.80 2.80  0.074
H12 5.55 3.00 2.56  0.111
H13 4.78 2.16 1.21  0.109
H14 4.06 2.01 4.14  0.120
H15 2.94 1.52 2.88  0.085
H16 5.62 0.25 3.55  0.115
H17 4.02 -0.44 3.72  0.115
H18 6.88 -0.33 1.74  0.114
H19 7.16 -1.20 -0.54  0.106
H20 5.16 -1.70 -1.93  0.120
H21 0.66 1.07 2.75  0.084
H22 -1.02 1.16 2.33  0.130
H23 -0.36 3.46 1.20  0.118
H24 1.09 3.34 2.14  0.094
H25 -1.37 2.10 -0.19  0.129
H26 -2.16 1.96 -2.38  0.086
H27 -1.63 0.61 -3.40  0.137
H28 0.78 -0.36 -2.96  0.134
C31 -1.74 -2.01 4.30  -0.087
C32 -2.82 -3.06 4.50  -0.266
N1 -2.58 -4.25 3.71  -0.197
C33 -3.73 -5.14 3.62  -0.262
C34 -4.24 -5.82 4.89  -0.076
C35 -1.29 -4.89 3.92  -0.244
C36 -0.92 -5.34 5.34  -0.079
H29 -1.61 -1.81 3.23  0.083
H30 -2.02 -1.08 4.79  0.052
H31 -0.77 -2.32 4.70  0.069
H32 -3.78 -2.65 4.18  0.119
H33 -2.92 -3.27 5.58  0.105
H34 -3.50 -5.90 2.87  0.110
H35 -4.54 -4.55 3.19  0.090
H36 -3.58 -6.62 5.23  0.057
H37 -5.22 -6.26 4.70  0.068
H38 -4.36 -5.11 5.71  0.068
H39 -0.52 -4.20 3.57  0.100
H40 -1.24 -5.75 3.24  0.114
H41 -1.13 -4.55 6.07  0.065
H42 0.14 -5.55 5.39  0.071
H43 -1.46 -6.24 5.65  0.055
C37 1.44 1.68 -11.79  -0.093
C38 1.87 1.37 -10.37  -0.279
N2 2.06 2.55 -9.56  -0.204
C39 2.76 2.30 -8.31  -0.248
C40 2.08 1.40 -7.27  -0.084
C41 0.91 3.44 -9.48  -0.246
C42 -0.41 2.87 -8.95  -0.078
H44 2.13 2.40 -12.25  0.079
H45 1.44 0.77 -12.39  0.071
H46 0.43 2.10 -11.84  0.063
H47 2.84 0.85 -10.40  0.117
H48 1.16 0.65 -9.93  0.102
H49 2.98 3.27 -7.85  0.111
H50 3.73 1.87 -8.57  0.108